Entries >
/*
DFT (the ωB97M-V functional and the def2-TZVPD basis) results for a molecular structure, C4H5BF7O2Sn in a non-equilibrium geometry.

Last column: Mulliken charge in e.
Positions of all 20 atoms, in Å:
C 2.1194 -10.1490 9.3168  0.821
C 2.2991 -9.0417 12.4323  -1.064
H 2.0299 -8.2188 11.7701  0.251
F 3.5274 -8.2583 10.8038  0.090
O 3.1474 -9.4893 8.9246  -0.205
F 5.4198 -7.3746 10.0602  -0.192
F 0.1359 -11.5023 8.9673  -0.186
C 0.9193 -10.5398 8.3848  0.733
H 2.9652 -8.5876 13.1659  0.355
H 1.2956 -9.2744 12.7885  0.405
F 3.5161 -7.1444 8.9864  -0.263
F 0.1810 -9.4191 8.1725  -0.198
F 3.7781 -5.9580 10.8983  -0.314
O 2.0109 -10.6283 10.6238  -0.231
Sn 4.7418 -8.9515 8.8739  0.762
F 1.4033 -10.9540 7.2096  -0.194
B 4.0958 -7.1180 10.2316  -0.116
H 3.8739 -10.0027 11.1802  -0.057
C 2.9219 -10.2463 11.6518  0.174
H 2.9745 -11.1425 12.2700  0.426

The spin multiplicity is 1. Its energy above the lowest of the compared OMol25 structures with the same formula, charge and spin is 340.20 kJ/mol. For the gap between HOMO and LUMO, the calculation gives 0.34754 Eh. As for the total charge: +1. The HOMO energy comes out at -15.53 eV.

* * * * *

{"formula": "C5H10ClNSi", "method": "ωB97M-V/def2-TZVPD", "species": ["C", "C", "Si", "Cl", "C", "C", "N", "C", "H", "H", "H", "H", "H", "H", "H", "H", "H", "H"], "xyz": [[4.237, -1.223, -0.173], [2.914, -1.277, 0.036], [1.770, 0.148, -0.023], [2.475, 1.942, 0.254], [0.063, -0.336, -0.221], [-1.217, 0.482, -0.271], [-2.630, -0.076, -0.207], [-3.478, 1.032, 0.293], [4.885, -2.069, 0.099], [4.804, -0.292, -0.150], [2.516, -2.314, -0.015], [0.025, -1.460, -0.351], [-1.164, 1.100, -1.287], [-1.216, 1.145, 0.577], [-2.849, -0.882, 0.379], [-3.225, 1.492, 1.261], [-3.335, 1.789, -0.386], [-4.574, 0.798, 0.185]], "lowdin_charge": [-0.0842, -0.3256, 0.2102, 0.3979, -0.2793, -0.3344, -0.1355, -0.1696, 0.0608, 0.0409, 0.0718, 0.0429, 0.1441, 0.0693, 0.0901, 0.0766, 0.0298, 0.0943], "total_energy_ev": -27234.9080, "total_charge": 0, "fmax_ev_per_a": 4.79, "molar_mass_g_mol": 147.68, "gap_ev": 7.90, "e_above_lowest_ev": 0.063, "homo_ha": -0.280}

{"formula": "C10H17CuN2SSbSe4", "method": "ωB97M-V/def2-TZVPD", "species": ["Cu", "C", "C", "C", "C", "C", "H", "H", "H", "H", "H", "C", "C", "N", "C", "S", "N", "C", "C", "H", "H", "H", "H", "H", "H", "H", "H", "H", "H", "H", "H", "Se", "Sb", "Se", "Se", "Se"], "xyz": [[1.021, -0.091, 1.560], [1.098, 2.648, 1.981], [1.711, 1.578, 2.704], [3.009, 1.390, 2.145], [3.165, 2.286, 1.087], [1.992, 3.071, 0.994], [0.134, 3.082, 2.212], [1.371, 1.196, 3.663], [3.729, 0.660, 2.484], [4.013, 2.332, 0.419], [1.814, 3.860, 0.275], [-3.471, -2.371, -0.857], [-2.096, -2.011, -0.324], [-1.687, -0.677, -0.752], [-1.288, 0.281, 0.104], [-1.534, 0.216, 1.789], [-0.643, 1.343, -0.419], [-0.120, 1.426, -1.767], [-1.155, 1.902, -2.780], [-3.729, -3.384, -0.548], [-3.490, -2.337, -1.948], [-4.227, -1.681, -0.477], [-1.349, -2.726, -0.672], [-2.085, -2.034, 0.763], [-1.153, -0.696, -1.610], [-0.204, 1.941, 0.276], [0.314, 0.464, -2.063], [0.719, 2.123, -1.721], [-2.023, 1.241, -2.792], [-0.724, 1.921, -3.781], [-1.500, 2.906, -2.530], [2.062, -3.826, 3.089], [1.653, -3.847, 0.712], [1.639, -1.557, -0.272], [3.120, -5.301, -0.731], [-0.089, -5.326, -0.214]], "lowdin_charge": [-0.1008, -0.2339, -0.2850, -0.2010, -0.1870, -0.2085, 0.0748, 0.0853, 0.0852, 0.0659, 0.0656, -0.0945, -0.2981, -0.0044, -0.8595, 0.6326, -0.0073, -0.2566, -0.0931, 0.0661, 0.0623, 0.0647, 0.0290, 0.0663, 0.1012, 0.0699, 0.0724, 0.1159, 0.0615, 0.0646, 0.0671, -0.2915, -0.3683, 0.0622, -0.2118, -0.2112], "total_energy_ev": -337027.1914, "total_charge": -2, "fmax_ev_per_a": 0.37, "molar_mass_g_mol": 698.47, "gap_ev": [6.10, 5.77], "e_above_lowest_ev": 0.077, "homo_ha": [-0.058, -0.058], "multiplicity": 2}
*/

Assignment >
The reader should print all of the calculation results further above character by character.

Written answer >
DFT (the ωB97M-V functional and the def2-TZVPD basis) results for a molecular structure, C4H5BF7O2Sn in a non-equilibrium geometry.

Last column: Mulliken charge in e.
Positions of all 20 atoms, in Å:
C 2.1194 -10.1490 9.3168  0.821
C 2.2991 -9.0417 12.4323  -1.064
H 2.0299 -8.2188 11.7701  0.251
F 3.5274 -8.2583 10.8038  0.090
O 3.1474 -9.4893 8.9246  -0.205
F 5.4198 -7.3746 10.0602  -0.192
F 0.1359 -11.5023 8.9673  -0.186
C 0.9193 -10.5398 8.3848  0.733
H 2.9652 -8.5876 13.1659  0.355
H 1.2956 -9.2744 12.7885  0.405
F 3.5161 -7.1444 8.9864  -0.263
F 0.1810 -9.4191 8.1725  -0.198
F 3.7781 -5.9580 10.8983  -0.314
O 2.0109 -10.6283 10.6238  -0.231
Sn 4.7418 -8.9515 8.8739  0.762
F 1.4033 -10.9540 7.2096  -0.194
B 4.0958 -7.1180 10.2316  -0.116
H 3.8739 -10.0027 11.1802  -0.057
C 2.9219 -10.2463 11.6518  0.174
H 2.9745 -11.1425 12.2700  0.426

The spin multiplicity is 1. Its energy above the lowest of the compared OMol25 structures with the same formula, charge and spin is 340.20 kJ/mol. For the gap between HOMO and LUMO, the calculation gives 0.34754 Eh. As for the total charge: +1. The HOMO energy comes out at -15.53 eV.

* * * * *

{"formula": "C5H10ClNSi", "method": "ωB97M-V/def2-TZVPD", "species": ["C", "C", "Si", "Cl", "C", "C", "N", "C", "H", "H", "H", "H", "H", "H", "H", "H", "H", "H"], "xyz": [[4.237, -1.223, -0.173], [2.914, -1.277, 0.036], [1.770, 0.148, -0.023], [2.475, 1.942, 0.254], [0.063, -0.336, -0.221], [-1.217, 0.482, -0.271], [-2.630, -0.076, -0.207], [-3.478, 1.032, 0.293], [4.885, -2.069, 0.099], [4.804, -0.292, -0.150], [2.516, -2.314, -0.015], [0.025, -1.460, -0.351], [-1.164, 1.100, -1.287], [-1.216, 1.145, 0.577], [-2.849, -0.882, 0.379], [-3.225, 1.492, 1.261], [-3.335, 1.789, -0.386], [-4.574, 0.798, 0.185]], "lowdin_charge": [-0.0842, -0.3256, 0.2102, 0.3979, -0.2793, -0.3344, -0.1355, -0.1696, 0.0608, 0.0409, 0.0718, 0.0429, 0.1441, 0.0693, 0.0901, 0.0766, 0.0298, 0.0943], "total_energy_ev": -27234.9080, "total_charge": 0, "fmax_ev_per_a": 4.79, "molar_mass_g_mol": 147.68, "gap_ev": 7.90, "e_above_lowest_ev": 0.063, "homo_ha": -0.280}

{"formula": "C10H17CuN2SSbSe4", "method": "ωB97M-V/def2-TZVPD", "species": ["Cu", "C", "C", "C", "C", "C", "H", "H", "H", "H", "H", "C", "C", "N", "C", "S", "N", "C", "C", "H", "H", "H", "H", "H", "H", "H", "H", "H", "H", "H", "H", "Se", "Sb", "Se", "Se", "Se"], "xyz": [[1.021, -0.091, 1.560], [1.098, 2.648, 1.981], [1.711, 1.578, 2.704], [3.009, 1.390, 2.145], [3.165, 2.286, 1.087], [1.992, 3.071, 0.994], [0.134, 3.082, 2.212], [1.371, 1.196, 3.663], [3.729, 0.660, 2.484], [4.013, 2.332, 0.419], [1.814, 3.860, 0.275], [-3.471, -2.371, -0.857], [-2.096, -2.011, -0.324], [-1.687, -0.677, -0.752], [-1.288, 0.281, 0.104], [-1.534, 0.216, 1.789], [-0.643, 1.343, -0.419], [-0.120, 1.426, -1.767], [-1.155, 1.902, -2.780], [-3.729, -3.384, -0.548], [-3.490, -2.337, -1.948], [-4.227, -1.681, -0.477], [-1.349, -2.726, -0.672], [-2.085, -2.034, 0.763], [-1.153, -0.696, -1.610], [-0.204, 1.941, 0.276], [0.314, 0.464, -2.063], [0.719, 2.123, -1.721], [-2.023, 1.241, -2.792], [-0.724, 1.921, -3.781], [-1.500, 2.906, -2.530], [2.062, -3.826, 3.089], [1.653, -3.847, 0.712], [1.639, -1.557, -0.272], [3.120, -5.301, -0.731], [-0.089, -5.326, -0.214]], "lowdin_charge": [-0.1008, -0.2339, -0.2850, -0.2010, -0.1870, -0.2085, 0.0748, 0.0853, 0.0852, 0.0659, 0.0656, -0.0945, -0.2981, -0.0044, -0.8595, 0.6326, -0.0073, -0.2566, -0.0931, 0.0661, 0.0623, 0.0647, 0.0290, 0.0663, 0.1012, 0.0699, 0.0724, 0.1159, 0.0615, 0.0646, 0.0671, -0.2915, -0.3683, 0.0622, -0.2118, -0.2112], "total_energy_ev": -337027.1914, "total_charge": -2, "fmax_ev_per_a": 0.37, "molar_mass_g_mol": 698.47, "gap_ev": [6.10, 5.77], "e_above_lowest_ev": 0.077, "homo_ha": [-0.058, -0.058], "multiplicity": 2}